Input >
=====
No. 1
Computed, not measured: C57H127FeN15O15 as an isolated structure, with wB97M-V/def2-TZVPD.

orbital gap (spin up / spin down) = 0.229 / 0.191 hartree
⟨S²⟩ = 8.766
net charge = +1
HOMO energy (spin up / spin down) = -8.158 / -8.054 eV
spin multiplicity = 6

```
215
Properties=species:S:1:pos:R:3:forces:R:3
Fe 14.7168 18.7507 18.1391 2.03 1.41 -0.94
C 15.9934 15.3951 15.0787 0.93 0.87 0.24
C 16.1607 14.9721 16.5771 -0.22 -1.20 -1.81
C 17.0807 13.7206 16.5527 1.03 0.62 0.26
C 18.5722 14.0142 16.2028 -1.52 0.68 0.16
C 19.1356 15.0762 17.1784 -1.04 -1.12 -0.68
C 18.2422 16.3378 17.3219 1.78 1.02 1.15
N 16.7857 16.0295 17.4354 -3.05 2.52 0.19
O 15.9011 17.0748 17.7911 3.45 -3.67 -1.28
C 18.6378 17.2879 16.1663 -0.78 -0.30 0.09
C 18.7382 17.0024 18.6963 -1.74 -1.24 -0.50
C 14.7825 14.4693 17.0353 0.24 0.65 1.78
H 15.2408 16.1598 14.8868 -0.05 0.15 0.47
H 15.7670 14.5784 14.3933 -0.06 -0.42 0.47
H 16.9514 15.7885 14.7386 -0.11 0.15 -0.24
H 16.6574 13.1153 15.7512 0.04 -0.53 0.44
H 17.0382 13.2630 17.5411 -0.24 -0.42 -0.01
H 18.4637 14.3351 15.1667 0.85 0.35 -0.12
H 19.1781 13.1082 16.1955 -0.13 0.01 0.12
H 20.1351 15.3626 16.8514 -0.04 0.36 0.06
H 19.2589 14.5635 18.1324 -0.09 0.10 0.28
H 17.8758 18.0605 16.0640 0.21 0.30 0.07
H 18.7330 16.7782 15.2075 -0.03 -0.16 0.01
H 19.6188 17.6931 16.4143 -0.15 0.22 -0.03
H 18.2882 17.9694 18.9213 0.44 0.24 -0.50
H 19.8176 16.9108 18.8168 0.00 0.48 -0.37
H 18.2984 16.3627 19.4615 0.08 -0.27 0.29
H 14.5998 13.3959 16.9838 0.45 -0.01 -0.88
H 13.9325 15.0092 16.6182 0.23 0.06 0.00
H 14.7770 14.5942 18.1181 -0.41 0.38 0.30
C 15.1561 22.3977 15.9926 -1.23 -0.56 0.29
C 16.6154 22.2404 16.3923 1.02 -1.22 -0.29
C 17.1458 23.6394 16.6273 1.53 0.15 0.06
C 18.5698 23.7034 17.2473 -1.37 -0.56 -1.33
C 18.5829 22.8658 18.5178 0.85 1.38 -0.72
C 18.0400 21.4207 18.4229 1.17 1.35 -0.80
N 16.7814 21.4802 17.6464 -0.93 -0.45 1.97
O 16.1002 20.2355 17.7471 -0.29 -0.53 -0.61
C 17.8198 20.9850 19.8858 -0.02 -0.28 -0.65
C 19.1942 20.5602 17.7938 -0.72 -1.05 -0.79
C 17.3966 21.5636 15.2074 -0.49 0.10 0.47
H 14.6185 21.4686 15.8031 0.45 -0.44 -0.02
H 14.9958 22.9870 15.0898 0.52 0.22 -0.04
H 14.5278 22.8487 16.7608 0.35 0.29 0.33
H 16.4712 24.1414 17.3209 -0.13 0.29 -0.25
H 17.2364 24.1218 15.6540 -0.60 0.35 -0.01
H 18.8271 24.7597 17.3258 -0.10 0.07 0.89
H 19.3435 23.3920 16.5455 -0.13 -0.58 -0.26
H 18.0491 23.4989 19.2266 -0.04 -0.48 0.56
H 19.6577 22.8810 18.6987 0.00 -0.50 1.12
H 17.0425 21.6058 20.3313 -0.35 -0.41 -0.07
H 18.7033 21.1350 20.5064 0.37 0.22 -0.31
H 17.6391 19.9102 19.8952 -0.60 0.04 0.24
H 20.0221 20.2671 18.4393 -0.01 0.50 0.41
H 19.6211 20.9182 16.8569 0.06 0.84 0.18
H 18.8242 19.6031 17.4261 -0.54 -0.11 0.38
H 17.4725 20.4898 15.3788 -0.06 -0.02 0.10
H 18.4106 21.9558 15.1292 -0.08 0.05 -0.17
H 16.8375 21.7141 14.2839 0.29 0.10 -0.22
C 11.4729 15.9966 17.5875 -0.58 0.22 0.62
C 11.9875 17.0120 18.6107 -1.36 0.42 -0.32
O 13.0808 17.5220 18.4320 0.93 0.10 0.11
N 11.2187 17.4787 19.6379 0.60 -1.20 -1.09
C 9.8419 17.1936 19.9399 -1.11 0.65 0.82
H 11.5250 14.9929 18.0094 0.05 -0.06 -0.06
H 12.0161 16.0373 16.6434 0.37 0.14 0.43
H 10.4350 16.1911 17.3172 -0.16 -0.01 0.28
H 11.6583 18.2218 20.1619 0.02 -0.11 -0.01
H 9.6929 17.2391 21.0187 0.24 -0.15 0.14
H 9.3828 16.2519 19.6391 0.77 -0.10 -0.42
H 9.2007 17.9984 19.5804 -0.10 -0.02 -0.35
C 11.0588 13.6341 21.5985 0.25 -0.03 0.19
C 12.1777 13.4601 20.5829 -1.70 -0.41 1.23
O 13.0328 14.2896 20.4466 1.52 1.48 -0.60
N 12.1200 12.3150 19.9250 0.46 -1.98 -0.87
C 13.0535 11.8841 18.8717 -1.26 0.12 -0.40
H 10.5826 14.6053 21.4637 0.01 -0.09 -0.02
H 11.5345 13.6251 22.5792 -0.08 0.11 0.09
H 10.3206 12.8323 21.5788 -0.05 0.14 -0.08
H 11.4413 11.6281 20.2212 0.06 0.28 -0.12
H 14.0468 12.3219 18.9704 -0.21 -0.20 0.12
H 12.5810 12.1557 17.9278 0.43 0.57 -0.32
H 13.0291 10.7998 18.7630 0.49 -0.05 0.70
C 21.6532 16.7828 12.5976 -1.09 -0.30 0.29
C 21.5296 15.3643 13.2161 0.49 1.40 -0.88
O 20.9539 14.4655 12.6234 -0.48 -0.40 0.07
=====

What to do >
Next, quote only the lines above with the word "Fe" in them.

Outcome >
Fe 14.7168 18.7507 18.1391 2.03 1.41 -0.94